Entries.
........
A molecular structure, C18H38HfOP2 at a distorted geometry. Source: OMol25; level of theory: ωB97M-V with the def2-TZVPD basis set.

## Properties
Highest occupied orbital energy (alpha / beta) ... -11.45 / -11.46 eV
ΔE to the lowest compared entry with this formula, charge and spin ... 6.201 eV
Total charge ... +2
Energy ... -1513.642111 a.u.

Geometry (Å):
P: 0.788 4.198 1.146
P: 3.240 4.345 -1.941
C: 2.239 5.268 0.669
C: 2.535 5.577 -0.819
H: 3.164 4.984 1.195
H: 1.989 6.241 1.126
H: 1.648 5.994 -1.310
H: 3.272 6.402 -0.870
C: 4.990 4.862 -2.011
H: 5.616 4.148 -2.570
H: 5.403 4.943 -0.993
H: 5.048 5.851 -2.487
C: 2.626 4.676 -3.599
H: 3.249 5.470 -4.036
H: 1.587 5.025 -3.563
H: 2.687 3.784 -4.238
C: 1.234 4.220 2.912
H: 0.559 3.567 3.474
H: 1.148 5.249 3.302
H: 2.269 3.874 3.064
C: -0.521 5.452 1.019
H: -0.572 5.841 -0.013
H: -0.240 6.274 1.696
H: -1.491 5.041 1.336
Hf: -1.379 2.235 -0.857
C: 3.585 2.403 -1.877
C: 4.459 2.305 -0.729
C: 4.018 2.512 0.613
C: 3.354 1.302 1.320
C: 1.988 1.563 1.587
C: 1.085 2.325 0.630
C: 1.234 2.506 -0.903
C: 2.241 1.625 -1.742
C: -2.532 2.276 0.935
H: 4.054 2.189 -2.849
H: 5.477 1.970 -0.906
H: 3.250 3.295 0.567
H: 4.815 2.920 1.244
H: 3.401 0.448 0.656
H: 3.927 0.994 2.209
H: 1.412 0.844 2.155
H: 0.044 1.803 0.788
H: 1.475 3.566 -1.186
H: 0.254 2.471 -1.662
H: 2.360 0.650 -1.256
H: 1.789 1.429 -2.743
H: -3.628 2.281 0.787
H: -2.315 3.171 1.535
H: -2.345 1.352 1.554
C: -1.195 -2.127 -0.433
C: -0.260 -0.941 -0.201
C: 1.011 -1.306 -0.927
O: -0.953 0.361 -0.738
H: -1.605 -2.124 -1.455
H: -2.007 -2.161 0.312
H: -0.661 -3.105 -0.336
H: -0.094 -0.730 0.870
H: 0.918 -1.170 -2.006
H: 1.877 -0.794 -0.511
H: 1.297 -2.368 -0.791

These are the Löwdin partial charges, in e, on atoms 1 to 5: 0.921 0.928 -0.314 -0.308 0.092

=====

[1]
This record from the Open Molecules 2025 dataset describes a structure of composition C10H14B2CdF4N6. The level of theory is the ωB97M-V functional and the def2-TZVPD basis.

Properties
Total energy: -36327.49708 eV
Frontier orbital gap (spin up / spin down): 6.7 / 7.4 eV
Highest occupied orbital energy (spin up / spin down): -9.531 / -9.529 eV

XYZ file:
```
37
Properties=species:S:1:pos:R:3:forces:R:3
H -3.09644 1.38721 0.81296 0.2 -0.1 -0.1
N -2.13564 -0.03620 -0.47559 -0.8 0.3 0.2
B -1.62051 -1.85427 -2.22207 0.1 0.3 0.5
N -2.61184 -0.90723 -1.43905 0.5 0.8 0.7
C -3.95216 -0.75618 -1.55191 0.6 0.0 0.2
Cd 0.18225 0.07693 0.03552 -2.4 -0.6 -1.3
H -4.48659 -1.36402 -2.28422 0.1 0.4 0.4
C -4.36046 0.21066 -0.64345 -0.1 0.3 0.3
H -5.37278 0.57244 -0.47921 0.4 -0.2 -0.1
C -3.19134 0.64502 0.03353 0.0 -1.6 -1.7
H -2.21825 -2.52321 -3.01848 0.0 0.1 0.0
C 2.28490 -0.16494 0.29253 2.9 -0.1 0.8
H 2.62152 0.50573 1.07502 -0.4 0.3 0.1
H 2.70635 0.17464 -0.66967 -0.6 -0.7 0.2
H 2.43989 -1.19787 0.64257 -0.3 0.3 -0.8
N -0.90422 -2.78742 -1.17125 0.6 0.7 1.0
N -0.54239 -0.96085 -2.95241 0.5 1.0 1.0
N -0.19703 -2.21658 -0.13867 0.4 -1.0 0.1
N 0.21959 -0.06913 -2.22031 0.7 0.0 -0.9
C -0.86186 -4.13111 -1.04261 -0.2 0.4 -0.4
C -0.22018 -0.84152 -4.25676 -0.3 -0.3 0.5
H -1.40220 -4.73671 -1.78277 0.5 0.2 0.6
H -0.76489 -1.45814 -4.98186 0.5 0.5 0.3
C -0.10128 -4.43746 0.07042 0.5 -0.5 0.7
C 0.78278 0.10196 -4.37034 0.9 0.7 -0.5
C 0.32250 -3.20510 0.62528 -1.4 -0.1 -1.9
C 1.06484 0.56577 -3.06773 -1.7 -1.4 -0.2
H 0.14284 -5.42538 0.46716 -0.2 0.4 -0.3
H 1.28225 0.44799 -5.27998 -0.4 -0.3 0.4
H 0.94393 -3.00334 1.48884 -0.2 0.0 -0.1
H 1.78977 1.29196 -2.70937 -0.3 -0.2 -0.1
H -0.40158 -0.10110 1.83322 0.1 -0.1 0.4
F 0.33448 1.73419 1.42098 0.9 0.4 0.6
B 1.34964 2.42955 2.60594 -0.7 0.2 -0.1
F 0.31238 3.15763 3.17113 1.5 -0.2 0.0
F 1.92440 1.45206 3.41089 -0.9 0.4 -0.8
F 2.32108 3.06756 1.85499 -0.9 -0.2 0.4
```
Forces are in eV/Å.

[2]
This record from the Open Molecules 2025 dataset describes a cluster of 5 separate species, C34H57ClF3NO9S in total. The level of theory is the ωB97M-V functional and the def2-TZVPD basis.

Properties
Total energy: -87594.12689 eV
Frontier orbital gap: 7.9 eV
........
Request.
Find the line further above that holds "5.403 4.943", then type out that line and all lines after it there.
Solution.
H: 5.403 4.943 -0.993
H: 5.048 5.851 -2.487
C: 2.626 4.676 -3.599
H: 3.249 5.470 -4.036
H: 1.587 5.025 -3.563
H: 2.687 3.784 -4.238
C: 1.234 4.220 2.912
H: 0.559 3.567 3.474
H: 1.148 5.249 3.302
H: 2.269 3.874 3.064
C: -0.521 5.452 1.019
H: -0.572 5.841 -0.013
H: -0.240 6.274 1.696
H: -1.491 5.041 1.336
Hf: -1.379 2.235 -0.857
C: 3.585 2.403 -1.877
C: 4.459 2.305 -0.729
C: 4.018 2.512 0.613
C: 3.354 1.302 1.320
C: 1.988 1.563 1.587
C: 1.085 2.325 0.630
C: 1.234 2.506 -0.903
C: 2.241 1.625 -1.742
C: -2.532 2.276 0.935
H: 4.054 2.189 -2.849
H: 5.477 1.970 -0.906
H: 3.250 3.295 0.567
H: 4.815 2.920 1.244
H: 3.401 0.448 0.656
H: 3.927 0.994 2.209
H: 1.412 0.844 2.155
H: 0.044 1.803 0.788
H: 1.475 3.566 -1.186
H: 0.254 2.471 -1.662
H: 2.360 0.650 -1.256
H: 1.789 1.429 -2.743
H: -3.628 2.281 0.787
H: -2.315 3.171 1.535
H: -2.345 1.352 1.554
C: -1.195 -2.127 -0.433
C: -0.260 -0.941 -0.201
C: 1.011 -1.306 -0.927
O: -0.953 0.361 -0.738
H: -1.605 -2.124 -1.455
H: -2.007 -2.161 0.312
H: -0.661 -3.105 -0.336
H: -0.094 -0.730 0.870
H: 0.918 -1.170 -2.006
H: 1.877 -0.794 -0.511
H: 1.297 -2.368 -0.791

These are the Löwdin partial charges, in e, on atoms 1 to 5: 0.921 0.928 -0.314 -0.308 0.092

=====

[1]
This record from the Open Molecules 2025 dataset describes a structure of composition C10H14B2CdF4N6. The level of theory is the ωB97M-V functional and the def2-TZVPD basis.

Properties
Total energy: -36327.49708 eV
Frontier orbital gap (spin up / spin down): 6.7 / 7.4 eV
Highest occupied orbital energy (spin up / spin down): -9.531 / -9.529 eV

XYZ file:
```
37
Properties=species:S:1:pos:R:3:forces:R:3
H -3.09644 1.38721 0.81296 0.2 -0.1 -0.1
N -2.13564 -0.03620 -0.47559 -0.8 0.3 0.2
B -1.62051 -1.85427 -2.22207 0.1 0.3 0.5
N -2.61184 -0.90723 -1.43905 0.5 0.8 0.7
C -3.95216 -0.75618 -1.55191 0.6 0.0 0.2
Cd 0.18225 0.07693 0.03552 -2.4 -0.6 -1.3
H -4.48659 -1.36402 -2.28422 0.1 0.4 0.4
C -4.36046 0.21066 -0.64345 -0.1 0.3 0.3
H -5.37278 0.57244 -0.47921 0.4 -0.2 -0.1
C -3.19134 0.64502 0.03353 0.0 -1.6 -1.7
H -2.21825 -2.52321 -3.01848 0.0 0.1 0.0
C 2.28490 -0.16494 0.29253 2.9 -0.1 0.8
H 2.62152 0.50573 1.07502 -0.4 0.3 0.1
H 2.70635 0.17464 -0.66967 -0.6 -0.7 0.2
H 2.43989 -1.19787 0.64257 -0.3 0.3 -0.8
N -0.90422 -2.78742 -1.17125 0.6 0.7 1.0
N -0.54239 -0.96085 -2.95241 0.5 1.0 1.0
N -0.19703 -2.21658 -0.13867 0.4 -1.0 0.1
N 0.21959 -0.06913 -2.22031 0.7 0.0 -0.9
C -0.86186 -4.13111 -1.04261 -0.2 0.4 -0.4
C -0.22018 -0.84152 -4.25676 -0.3 -0.3 0.5
H -1.40220 -4.73671 -1.78277 0.5 0.2 0.6
H -0.76489 -1.45814 -4.98186 0.5 0.5 0.3
C -0.10128 -4.43746 0.07042 0.5 -0.5 0.7
C 0.78278 0.10196 -4.37034 0.9 0.7 -0.5
C 0.32250 -3.20510 0.62528 -1.4 -0.1 -1.9
C 1.06484 0.56577 -3.06773 -1.7 -1.4 -0.2
H 0.14284 -5.42538 0.46716 -0.2 0.4 -0.3
H 1.28225 0.44799 -5.27998 -0.4 -0.3 0.4
H 0.94393 -3.00334 1.48884 -0.2 0.0 -0.1
H 1.78977 1.29196 -2.70937 -0.3 -0.2 -0.1
H -0.40158 -0.10110 1.83322 0.1 -0.1 0.4
F 0.33448 1.73419 1.42098 0.9 0.4 0.6
B 1.34964 2.42955 2.60594 -0.7 0.2 -0.1
F 0.31238 3.15763 3.17113 1.5 -0.2 0.0
F 1.92440 1.45206 3.41089 -0.9 0.4 -0.8
F 2.32108 3.06756 1.85499 -0.9 -0.2 0.4
```
Forces are in eV/Å.

[2]
This record from the Open Molecules 2025 dataset describes a cluster of 5 separate species, C34H57ClF3NO9S in total. The level of theory is the ωB97M-V functional and the def2-TZVPD basis.

Properties
Total energy: -87594.12689 eV
Frontier orbital gap: 7.9 eV